Error while hydrating

Hi team :wave:, after updating to v5 (now on 5.2.1), I’ve starting getting errors in my app which look to be related to SSR. I’ve recorded a quick demo, most routes render no problem while navigating the app, but if I refresh a page nothing renders and get the below errors.

Strive Bug - Watch Video

**These data records were left in the text by mistake**
+++
[1]
Material: K2Ru
Method: DFT, GGA-PBE
State: optimized geometry

```
K2Ru
1.0
5.7433 0.0000 0.0000
-2.8717 4.9739 0.0000
0.0000 0.0000 2.8041
K Ru
2 1
Direct
0.3333 0.6667 0.0031 K
0.6667 0.3333 0.9969 K
0.0000 0.0000 0.5000 Ru
```

Summary:
The calculation puts the energy above the most stable polymorph in this dataset at 555 meV/atom. The calculation puts the energy at -0.195 Ry/atom. The value obtained for the formation energy from the elements is 3.50 eV per formula unit.

[2]
Material: V3FeOs
Method: DFT, GGA-PBE
State: optimized geometry

```
V3FeOs
1.0
5.4507 -4.2649 0.0000
5.4507 4.2649 0.0000
-0.0043 0.0000 6.0947
V Fe Os
12 4 4
Direct
0.1249 0.1258 0.0005 V
0.1258 0.1249 0.5005 V
0.1820 0.5408 0.5557 V
0.1826 0.5392 0.9447 V
0.4592 0.8180 0.9443 V
0.4608 0.8174 0.5553 V
0.5392 0.1826 0.4447 V
0.5408 0.1820 0.0557 V
0.8174 0.4608 0.0553 V
0.8180 0.4592 0.4443 V
0.8742 0.8751 0.4995 V
0.8751 0.8742 0.9995 V
0.1700 0.3572 0.2508 Fe
0.3572 0.1700 0.7508 Fe
0.6428 0.8300 0.2492 Fe
0.8300 0.6428 0.7492 Fe
0.1722 0.8278 0.2500 Os
0.4880 0.5120 0.2500 Os
0.5120 0.4880 0.7500 Os
0.8278 0.1722 0.7500 Os
```

Summary:
The calculation puts the energy above the most stable polymorph in this dataset at 0 meV/atom. The calculation puts the energy at -0.677 Ry/atom. The value obtained for the formation energy from the elements is 1.01 eV per formula unit.

[3]
Material: Si2AgOs
Method: DFT, GGA-PBE
State: optimized geometry

```
Si2AgOs
1.0
1.4546 -2.5067 0.0000
1.4546 2.5067 0.0000
0.0000 0.0000 8.6592
Si Ag Os
2 1 1
Direct
0.0000 0.0000 0.2237 Si
0.0000 0.0000 0.7763 Si
0.5000 0.5000 0.5000 Ag
0.5000 0.5000 0.0000 Os
```

Summary:
The calculation puts the energy above the most stable polymorph in this dataset at 283 meV/atom. As for the raw formation energy: 0.315 eV/atom. The calculation puts the energy at -0.435 Ry/atom.

[4]
Material: DyY2InS6
Method: DFT, GGA-PBE
State: optimized geometry

```
DyY2InS6
1.0
3.4316 1.9812 6.1182
-3.4316 1.9812 6.1182
0.0000 -3.9625 6.1182
Dy Y In S
1 2 1 6
Direct
0.0000 0.0000 0.0000 Dy
0.2983 0.2983 0.2983 Y
0.7966 0.7966 0.7966 Y
0.5008 0.5008 0.5008 In
0.1047 0.7002 0.3951 S
0.2079 0.5992 0.8870 S
0.3951 0.1047 0.7002 S
0.5992 0.8870 0.2079 S
0.7002 0.3951 0.1047 S
0.8870 0.2079 0.5992 S
```

Summary:
As for the raw formation energy: -1.653 eV/atom. The calculation puts the energy at -0.453 Ry/atom.

~~~~~

## MoW2O8 (PBE with a Hubbard U)

Data for a relaxed structure of MoW2O8.

Computed properties:
Its size of the total moment is 0.1818 μB/atom. The value obtained for the energy relative to the lowest polymorph listed for this composition is 50.4 meV/atom. The density of states at the Fermi level comes out at 0.00 states/eV per atom.

The structure in CIF format:
```
data_MoW2O8
_cell_length_a 5.063
_cell_length_b 5.429
_cell_length_c 6.962
_cell_angle_alpha 109.91
_cell_angle_beta 92.03
_cell_angle_gamma 103.88
_space_group_name_H-M_alt 'P 1'
_space_group_IT_number 1
_space_group_name_Hall 'P 1'
loop_
+++
**End of the data records**

Uncaught TypeError: Cannot read properties of undefined (reading 'call')
    at c (runtime-app.0f51d3c3.js:1:157)
    at Object.prerenderLoader (app.c9f44c15.js:2:123198)
    at t.ActiveRouteLoader (app.c9f44c15.js:2:173873)
    at _a (app.c9f44c15.js:2:635427)
    at _u (app.c9f44c15.js:2:692259)
    at wc (app.c9f44c15.js:2:681411)
    at gc (app.c9f44c15.js:2:681339)
    at yc (app.c9f44c15.js:2:681202)
    at ic (app.c9f44c15.js:2:676338)
    at k (app.c9f44c15.js:172:15448)


app.c9f44c15.js:2 Uncaught Error: Minified React error #423; visit for the full message or use the non-minified dev environment for full errors and additional helpful warnings.

Error from the linked react docs:

There was an error while hydrating. Because the error happened outside of a Suspense boundary, the entire root will switch to client rendering.

== Attached: calculated crystals ==
********
Density functional theory data (meta-GGA SCAN) for a crystal of MgPtPb2 relaxed with PBEsol.

calculated formation energy	-0.23	eV per atom

The structure in CIF format:
```
data_MgPtPb2
_chemical_formula_sum 'Mg1 Pt1 Pb2'
_space_group_name_H-M_alt 'P 1'
_space_group_IT_number 1
_cell_length_a 3.747
_cell_length_b 6.102
_cell_length_c 6.102
_cell_angle_alpha 41.45
_cell_angle_beta 90.00
_cell_angle_gamma 90.00
loop_
_space_group_symop_operation_xyz
'x,y,z'
loop_
_atom_site_label
_atom_site_type_symbol
_atom_site_fract_x
_atom_site_fract_y
_atom_site_fract_z
_atom_site_occupancy
Mg1 Mg 0.000 0.000 0.000 1
Pt1 Pt 0.500 0.841 0.841 1
Pb1 Pb 0.000 0.286 0.286 1
Pb2 Pb 0.500 0.587 0.587 1
```

=====

Density functional theory data (meta-GGA SCAN) for a crystal of RbMgPtPb2 relaxed with PBEsol.

calculated formation energy	1.86	eV per atom

The structure in CIF format:
```
data_RbMgPtPb2
_chemical_formula_sum 'Rb1 Mg1 Pt1 Pb2'
_space_group_name_H-M_alt 'P 1'
_space_group_IT_number 1
_cell_length_a 5.779
_cell_length_b 5.779
_cell_length_c 5.429
_cell_angle_alpha 90.00
_cell_angle_beta 90.00
_cell_angle_gamma 90.00
loop_
_space_group_symop_operation_xyz
'x,y,z'
loop_
_atom_site_label
_atom_site_type_symbol
_atom_site_fract_x
_atom_site_fract_y
_atom_site_fract_z
_atom_site_occupancy
Rb1 Rb 0.000 0.000 0.000 1
Mg1 Mg 0.000 0.000 0.500 1
Pt1 Pt 0.500 0.500 0.500 1
Pb1 Pb 0.000 0.500 0.000 1
Pb2 Pb 0.500 0.000 0.000 1
```

=====

Density functional theory data (meta-GGA SCAN) for a crystal of Rb3MgPb relaxed with PBEsol.

calculated formation energy	0.23	eV per atom

The structure in CIF format:
```
data_Rb3MgPb
_chemical_formula_sum 'Rb3 Mg1 Pb1'
_space_group_name_H-M_alt 'P 1'
_space_group_IT_number 1
_cell_length_a 7.022
_cell_length_b 7.022
_cell_length_c 7.022
_cell_angle_alpha 90.00
_cell_angle_beta 90.00
_cell_angle_gamma 90.00
loop_
_space_group_symop_operation_xyz
'x,y,z'
loop_
_atom_site_label
_atom_site_type_symbol
_atom_site_fract_x
_atom_site_fract_y
_atom_site_fract_z
_atom_site_occupancy
Rb1 Rb 0.000 0.000 0.500 1
Rb2 Rb 0.000 0.500 0.000 1
Rb3 Rb 0.500 0.000 0.000 1
Mg1 Mg 0.500 0.500 0.500 1
Pb1 Pb 0.000 0.000 0.000 1
```

=====

Among the records above, which one has the lowest calculated formation energy? MgPtPb2

=====

Which of these has the highest calculated formation energy? RbMgPtPb2

=====

Repeat the third record exactly.
Density functional theory data (meta-GGA SCAN) for a crystal of Rb3MgPb relaxed with PBEsol.

calculated formation energy	0.23	eV per atom

The structure in CIF format:
```
data_Rb3MgPb
_chemical_formula_sum 'Rb3 Mg1 Pb1'
_space_group_name_H-M_alt 'P 1'
_space_group_IT_number 1
_cell_length_a 7.022
_cell_length_b 7.022
_cell_length_c 7.022
_cell_angle_alpha 90.00
_cell_angle_beta 90.00
_cell_angle_gamma 90.00
loop_
_space_group_symop_operation_xyz
'x,y,z'
loop_
_atom_site_label
_atom_site_type_symbol
_atom_site_fract_x
_atom_site_fract_y
_atom_site_fract_z
_atom_site_occupancy
Rb1 Rb 0.000 0.000 0.500 1
********
== End of the calculated crystals ==


Hi @hamishirving. I’ll take a look at that.

Big thanks to @Tobbe for solving this one.

For anyone with an older project deployed on Netlify (you setup Netlify pre Feb '22), check your netlify.toml

Ref: Always generate 200.html as part of web build | Change by dac09 · Pull Request #4782 · redwoodjs/redwood · GitHub

Redirects section should be as below:

  from = "/*"
  to = "/200.html" # not "/index.html"
  status = 200

Just had a similar issue as well with The solution is once again to redirect to 200.html not index.html as indicated. Just want to clarify that this in not only a Netlify solution. Thanks for posting the solution!

Same issue with the deprecated serverless deploy… thankfully I found this thread!

I had to patch serverless-lift:

== These crystal structures were left in the entry by mistake ==
-- begin --
A plane-wave DFT calculation with SCAN was carried out for Ca2ScAgPt at its PBEsol-relaxed geometry.

It has space group P4/mmm (No. 123), with a = 5.502 Å, b = 5.502 Å, c = 4.681 Å, α = 90.00°, β = 90.00° and γ = 90.00°. Symmetry generates all atoms from Ca at (0.000, 0.500, 0.000), Sc at (0.000, 0.000, 0.000), Ag at (0.000, 0.000, 0.500) and Pt at (0.500, 0.500, 0.500).

The value obtained for the volume is 28.3 Å³/atom. As for the density of states at the Fermi level: 3.0 states/eV/cell. The calculation puts the magnetization at 2.115 μB/cell. The density is 5.0 g cm⁻³. The calculation puts the total DFT energy (no corrections) at -26.00 eV per atom. The value obtained for the energy relative to the elements is 1023 meV/atom.

A plane-wave DFT calculation with SCAN was carried out for FeSnNF2 at its PBEsol-relaxed geometry.

It has space group P4/mmm (No. 123), with a = 4.037 Å, b = 4.037 Å, c = 3.806 Å, α = 90.00°, β = 90.00° and γ = 90.00°. Symmetry generates all atoms from Fe at (0.000, 0.000, 0.000), Sn at (0.500, 0.500, 0.500), N at (0.000, 0.000, 0.500) and F at (0.000, 0.500, 0.000).

The raw formation energy is -0.922 eV per atom. The value obtained for the volume is 12.4 Å³/atom. As for the density of states at the Fermi level: 2.0 states/eV/cell. The calculation puts the magnetization at 4.213 μB/cell. The density is 6.1 g cm⁻³. The calculation puts the total DFT energy (no corrections) at -15.01 eV per atom.

A plane-wave DFT calculation with SCAN was carried out for VPd2 at its PBEsol-relaxed geometry.

It has space group Immm (No. 71), with a = 2.696 Å, b = 3.756 Å, c = 8.175 Å, α = 90.00°, β = 90.00° and γ = 90.00°. Symmetry generates all atoms from V at (0.000, 0.000, 0.000) and Pd at (0.000, 0.000, 0.338).

The value obtained for the volume is 13.8 Å³/atom. As for the density of states at the Fermi level: 4.7 states/eV/cell. The calculation puts the magnetization at 0.050 μB/cell. The density is 10.6 g cm⁻³. The calculation puts the total DFT energy (no corrections) at -28.00 eV per atom. The value obtained for the energy relative to the elements is -317 meV/atom.

----------

Re3GeC meta-GGA SCAN single point on PBEsol structure; spin magnetization = 0.00 μB/cell; ΔH_f (0 K) = 0.676 eV/atom; volume = 66.7 Å³/cell
1.0
4.056 0.000 0.000
0.000 4.056 0.000
0.000 0.000 4.056
Re Ge C
3 1 1
direct
0.000 0.000 0.500 Re
0.000 0.500 0.000 Re
0.500 0.000 0.000 Re
0.500 0.500 0.500 Ge
0.000 0.000 0.000 C



Er3Tl2Cu5S8 meta-GGA SCAN single point on PBEsol structure; spin magnetization = 0.00 μB/cell; uncorrected formation energy = -1.18 eV/atom; volume = 343.4 Å³/cell
1.0
6.788 -1.921 0.000
6.788 1.921 0.000
-5.134 0.000 13.171
Er Tl Cu S
3 2 5 8
direct
0.000 0.000 0.000 Er
0.137 0.137 0.387 Er
0.297 0.297 0.768 Er
0.332 0.332 0.174 Tl
0.964 0.964 0.586 Tl
0.353 0.353 0.382 Cu
0.547 0.547 0.844 Cu
0.614 0.614 0.191 Cu
0.678 0.678 0.582 Cu
0.749 0.749 0.925 Cu
0.018 0.018 0.190 S
0.273 0.273 0.576 S
0.348 0.348 0.970 S
0.529 0.529 0.434 S
-- stop --

diff --git a/dist/src/constructs/aws/abstracts/StaticWebsiteAbstract.js b/dist/src/constructs/aws/abstracts/StaticWebsiteAbstract.js
index fe1f34198051bca8c00718db65897ab87ad591c4..9b9c3ba18b45507ada5a5ecf8815b0a55d550022 100644
--- a/dist/src/constructs/aws/abstracts/StaticWebsiteAbstract.js
+++ b/dist/src/constructs/aws/abstracts/StaticWebsiteAbstract.js
@@ -269,7 +269,9 @@ See
       httpStatus: 404,
       ttl: import_aws_cdk_lib.Duration.seconds(0),
       responseHttpStatus: 200,
-      responsePagePath: "/index.html"
+      // don't use index.html because that's specifically for the home page...
+      // instead, route unknown pages to 200.html which bootstraps redwood
+      responsePagePath: "/200.html"
   createResponseFunction() {

I also have other patches to serverless-lift in order to fix bucket policy issues, and prevent it from deleting old files. I think I’m the only one out there still using this lol.

Hey @sean-ac , do you have a fork of serverless-lift? how’d you patch it?

Actually, a patch may not be necessary - See this lift/docs/ at master · getlift/lift · GitHub

Follow up on this, I’m not able to use the proposed change to fix it. @sean-ac can you share a little more detail on the fix you made?

sure, here’s my full patch:

diff --git a/dist/src/constructs/aws/StaticWebsite.js b/dist/src/constructs/aws/StaticWebsite.js
index 6cf066af9bba8131b82ec103d2b76c7da134876d..824523b8748cee349c9f04202801c7c0fd017a76 100644
--- a/dist/src/constructs/aws/StaticWebsite.js
+++ b/dist/src/constructs/aws/StaticWebsite.js
@@ -34,6 +34,7 @@ module.exports = __toCommonJS(StaticWebsite_exports);
 var cloudfront = __toESM(require("aws-cdk-lib/aws-cloudfront"));
 var import_aws_cloudfront = require("aws-cdk-lib/aws-cloudfront");
 var import_aws_cdk_lib = require("aws-cdk-lib");
+var import_aws_s3 = require("aws-cdk-lib/aws-s3");
 var import_cloudfrontFunctions = require("../../classes/cloudfrontFunctions");
 var import_getDefaultCfnFunctionAssociations = require("../../utils/getDefaultCfnFunctionAssociations");
 var import_naming = require("../../utils/naming");
@@ -84,7 +85,15 @@ class StaticWebsite extends import_StaticWebsiteAbstract.StaticWebsiteAbstract {
       // public read access is required when enabling static website hosting
       publicReadAccess: true,
       // For a static website, the content is code that should be versioned elsewhere
-      removalPolicy: import_aws_cdk_lib.RemovalPolicy.DESTROY
+      removalPolicy: import_aws_cdk_lib.RemovalPolicy.DESTROY,
+      // allow access to public web bucket
+      blockPublicAccess: new import_aws_s3.BlockPublicAccess({
+        blockPublicAcls: false,
+        blockPublicPolicy: false,
+        ignorePublicAcls: false,
+        restrictPublicBuckets: false
+      })
diff --git a/dist/src/constructs/aws/abstracts/StaticWebsiteAbstract.js b/dist/src/constructs/aws/abstracts/StaticWebsiteAbstract.js
index fe1f34198051bca8c00718db65897ab87ad591c4..9b9c3ba18b45507ada5a5ecf8815b0a55d550022 100644
--- a/dist/src/constructs/aws/abstracts/StaticWebsiteAbstract.js
+++ b/dist/src/constructs/aws/abstracts/StaticWebsiteAbstract.js
@@ -269,7 +269,9 @@ See
       httpStatus: 404,
       ttl: import_aws_cdk_lib.Duration.seconds(0),
       responseHttpStatus: 200,
-      responsePagePath: "/index.html"
+      // don't use index.html because that's specifically for the home page...
+      // instead, route unknown pages to 200.html which bootstraps redwood
+      responsePagePath: "/200.html"
   createResponseFunction() {
diff --git a/dist/src/utils/s3-sync.js b/dist/src/utils/s3-sync.js
index 54f69f3978518268aa2fea5d4ae3fe461228396f..de820beed94229b1dc9ba5671c6c3a152fd3e2f2 100644
--- a/dist/src/utils/s3-sync.js
+++ b/dist/src/utils/s3-sync.js
@@ -53,6 +53,12 @@ async function s3Sync({
   let fileChangeCount = 0;
   const filesToUpload = await listFilesRecursively(localPath);
   const existingS3Objects = await s3ListAll(aws, bucketName, targetPathPrefix);
+  // don't delete any files... why would we delete files?
+  for (const key of Object.keys(existingS3Objects)) {
+    delete existingS3Objects[key];
+  }
   let skippedFiles = 0;
   for (const batch of (0, import_lodash.chunk)(filesToUpload, 2)) {
     await Promise.all(

This is in the file .yarn/patches/serverless-lift-npm-1.28.1-5d57d22b94.patch – not sure if you have the same exact version.

I generated this using yarn’s built-in patch system. If I recall correctly, I did something like yarn patch serverless-lift, and yarn copies the code into a temporary directory. Then I edited the necessary files, and told yarn to finish the patch.